Contents.
=====
1.
Rb2InI6Cl | GGA-PBE | optimized geometry

Computed properties:
DOS(E_F) ... 11.06 states/eV per cell
Formation energy (no corrections) ... -0.6807 eV per atom
Total magnetization ... 0.0 μB per cell

a = 8.3546 Å, b = 8.3546 Å, c = 12.9165 Å
α = 90.00°, β = 90.00°, γ = 90.00°
With the nearest neighbours (Å) after each atom.
Space group I4/mmm (No. 139)
One atom of each set of equivalent atoms:
Rb  0.0000  0.5000  0.2500 x4  12 I 4.19-4.38
In  0.0000  0.0000  0.0000 x2  6 I 2.94
I  0.0000  0.0000  0.2277 x4  1 In 2.94
I  0.2485  0.2485  0.0000 x8  1 In 2.94, 1 Cl 2.97
Cl  0.0000  0.0000  0.5000 x2  4 I 2.97



2.
InS2ICl | GGA-PBE | optimized geometry

Computed properties:
DOS(E_F) ... 4.57 states/eV per cell
Excess energy over the best structure of this formula in the dataset ... 0 meV per atom
Formation energy (no corrections) ... 0.2161 eV per atom
Total magnetization ... 0.6 μB per cell

a = 5.2482 Å, b = 5.2482 Å, c = 5.0079 Å
α = 90.00°, β = 90.00°, γ = 90.00°
With the nearest neighbours (Å) after each atom.
Space group P4/mmm (No. 123)
One atom of each set of equivalent atoms:
In  0.0000  0.0000  0.0000 x1  2 Cl 2.50, 4 S 2.62
S  0.0000  0.5000  0.0000 x2  2 In 2.62
I  0.5000  0.5000  0.5000 x1  8 S 3.63, 4 Cl 3.71
Cl  0.0000  0.0000  0.5000 x1  2 In 2.50



3.
InS2ICl | GGA-PBE | optimized geometry

Computed properties:
DOS(E_F) ... 2.32 states/eV per cell
Excess energy over the best structure of this formula in the dataset ... 76 meV per atom
Formation energy (no corrections) ... 0.2918 eV per atom
Total magnetization ... 0.0 μB per cell

a = 5.2061 Å, b = 5.2061 Å, c = 5.5770 Å
α = 90.00°, β = 90.00°, γ = 90.00°
With the nearest neighbours (Å) after each atom.
Space group P4/mmm (No. 123)
One atom of each set of equivalent atoms:
In  0.0000  0.0000  0.0000 x1  4 Cl 3.68, 8 S 3.81
S  0.0000  0.5000  0.5000 x2  2 I 2.60
I  0.5000  0.5000  0.5000 x1  4 S 2.60, 2 Cl 2.79
Cl  0.5000  0.5000  0.0000 x1  2 I 2.79



4.
InSb2ICl | GGA-PBE | optimized geometry

Computed properties:
DOS(E_F) ... 4.59 states/eV per cell
Excess energy over the best structure of this formula in the dataset ... 0 meV per atom
Formation energy (no corrections) ... 0.4171 eV per atom
Total magnetization ... 0.0 μB per cell

a = 5.1954 Å, b = 5.1954 Å, c = 7.3426 Å
α = 90.00°, β = 90.00°, γ = 90.00°
With the nearest neighbours (Å) after each atom.
Space group P4/mmm (No. 123)
One atom of each set of equivalent atoms:
In  0.0000  0.0000  0.0000 x1  4 I 3.67
Sb  0.0000  0.5000  0.5000 x2  2 Cl 2.60
I  0.5000  0.5000  0.0000 x1  2 Cl 3.67, 4 In 3.67
Cl  0.5000  0.5000  0.5000 x1  4 Sb 2.60



5.
InSb2ICl | GGA-PBE | optimized geometry

Computed properties:
DOS(E_F) ... 4.44 states/eV per cell
Excess energy over the best structure of this formula in the dataset ... 59 meV per atom
Formation energy (no corrections) ... 0.4766 eV per atom
Total magnetization ... 1.2 μB per cell

a = 5.7305 Å, b = 5.7305 Å, c = 5.8050 Å
α = 90.00°, β = 90.00°, γ = 90.00°
With the nearest neighbours (Å) after each atom.
Space group P4/mmm (No. 123)
One atom of each set of equivalent atoms:
In  0.0000  0.0000  0.0000 x1  4 Sb 2.87, 2 I 2.90
Sb  0.0000  0.5000  0.0000 x2  2 In 2.87
I  0.0000  0.0000  0.5000 x1  2 In 2.90
Cl  0.5000  0.5000  0.5000 x1  4 I 4.05, 8 Sb 4.08



6.
InSbI2Cl | GGA-PBE | optimized geometry

Computed properties:
DOS(E_F) ... 3.89 states/eV per cell
Excess energy over the best structure of this formula in the dataset ... 0 meV per atom
Formation energy (no corrections) ... 0.2292 eV per atom
Total magnetization ... 0.8 μB per cell

a = 5.7575 Å, b = 5.7575 Å, c = 5.9936 Å
α = 90.00°, β = 90.00°, γ = 90.00°
With the nearest neighbours (Å) after each atom.
Space group P4/mmm (No. 123)
One atom of each set of equivalent atoms:
In  0.0000  0.0000  0.0000 x1  4 I 2.88, 2 Sb 3.00
Sb  0.0000  0.0000  0.5000 x1  2 In 3.00
I  0.0000  0.5000  0.0000 x2  2 In 2.88
Cl  0.5000  0.5000  0.5000 x1  4 Sb 4.07, 8 I 4.16

=====

Record 1
=====

What to do.
Repeat the whole of the block above verbatim.

Completed.
1.
Rb2InI6Cl | GGA-PBE | optimized geometry

Computed properties:
DOS(E_F) ... 11.06 states/eV per cell
Formation energy (no corrections) ... -0.6807 eV per atom
Total magnetization ... 0.0 μB per cell

a = 8.3546 Å, b = 8.3546 Å, c = 12.9165 Å
α = 90.00°, β = 90.00°, γ = 90.00°
With the nearest neighbours (Å) after each atom.
Space group I4/mmm (No. 139)
One atom of each set of equivalent atoms:
Rb  0.0000  0.5000  0.2500 x4  12 I 4.19-4.38
In  0.0000  0.0000  0.0000 x2  6 I 2.94
I  0.0000  0.0000  0.2277 x4  1 In 2.94
I  0.2485  0.2485  0.0000 x8  1 In 2.94, 1 Cl 2.97
Cl  0.0000  0.0000  0.5000 x2  4 I 2.97



2.
InS2ICl | GGA-PBE | optimized geometry

Computed properties:
DOS(E_F) ... 4.57 states/eV per cell
Excess energy over the best structure of this formula in the dataset ... 0 meV per atom
Formation energy (no corrections) ... 0.2161 eV per atom
Total magnetization ... 0.6 μB per cell

a = 5.2482 Å, b = 5.2482 Å, c = 5.0079 Å
α = 90.00°, β = 90.00°, γ = 90.00°
With the nearest neighbours (Å) after each atom.
Space group P4/mmm (No. 123)
One atom of each set of equivalent atoms:
In  0.0000  0.0000  0.0000 x1  2 Cl 2.50, 4 S 2.62
S  0.0000  0.5000  0.0000 x2  2 In 2.62
I  0.5000  0.5000  0.5000 x1  8 S 3.63, 4 Cl 3.71
Cl  0.0000  0.0000  0.5000 x1  2 In 2.50



3.
InS2ICl | GGA-PBE | optimized geometry

Computed properties:
DOS(E_F) ... 2.32 states/eV per cell
Excess energy over the best structure of this formula in the dataset ... 76 meV per atom
Formation energy (no corrections) ... 0.2918 eV per atom
Total magnetization ... 0.0 μB per cell

a = 5.2061 Å, b = 5.2061 Å, c = 5.5770 Å
α = 90.00°, β = 90.00°, γ = 90.00°
With the nearest neighbours (Å) after each atom.
Space group P4/mmm (No. 123)
One atom of each set of equivalent atoms:
In  0.0000  0.0000  0.0000 x1  4 Cl 3.68, 8 S 3.81
S  0.0000  0.5000  0.5000 x2  2 I 2.60
I  0.5000  0.5000  0.5000 x1  4 S 2.60, 2 Cl 2.79
Cl  0.5000  0.5000  0.0000 x1  2 I 2.79



4.
InSb2ICl | GGA-PBE | optimized geometry

Computed properties:
DOS(E_F) ... 4.59 states/eV per cell
Excess energy over the best structure of this formula in the dataset ... 0 meV per atom
Formation energy (no corrections) ... 0.4171 eV per atom
Total magnetization ... 0.0 μB per cell

a = 5.1954 Å, b = 5.1954 Å, c = 7.3426 Å
α = 90.00°, β = 90.00°, γ = 90.00°
With the nearest neighbours (Å) after each atom.
Space group P4/mmm (No. 123)
One atom of each set of equivalent atoms:
In  0.0000  0.0000  0.0000 x1  4 I 3.67
Sb  0.0000  0.5000  0.5000 x2  2 Cl 2.60
I  0.5000  0.5000  0.0000 x1  2 Cl 3.67, 4 In 3.67
Cl  0.5000  0.5000  0.5000 x1  4 Sb 2.60



5.
InSb2ICl | GGA-PBE | optimized geometry

Computed properties:
DOS(E_F) ... 4.44 states/eV per cell
Excess energy over the best structure of this formula in the dataset ... 59 meV per atom
Formation energy (no corrections) ... 0.4766 eV per atom
Total magnetization ... 1.2 μB per cell

a = 5.7305 Å, b = 5.7305 Å, c = 5.8050 Å
α = 90.00°, β = 90.00°, γ = 90.00°
With the nearest neighbours (Å) after each atom.
Space group P4/mmm (No. 123)
One atom of each set of equivalent atoms:
In  0.0000  0.0000  0.0000 x1  4 Sb 2.87, 2 I 2.90
Sb  0.0000  0.5000  0.0000 x2  2 In 2.87
I  0.0000  0.0000  0.5000 x1  2 In 2.90
Cl  0.5000  0.5000  0.5000 x1  4 I 4.05, 8 Sb 4.08



6.
InSbI2Cl | GGA-PBE | optimized geometry

Computed properties:
DOS(E_F) ... 3.89 states/eV per cell
Excess energy over the best structure of this formula in the dataset ... 0 meV per atom
Formation energy (no corrections) ... 0.2292 eV per atom
Total magnetization ... 0.8 μB per cell

a = 5.7575 Å, b = 5.7575 Å, c = 5.9936 Å
α = 90.00°, β = 90.00°, γ = 90.00°
With the nearest neighbours (Å) after each atom.
Space group P4/mmm (No. 123)
One atom of each set of equivalent atoms:
In  0.0000  0.0000  0.0000 x1  4 I 2.88, 2 Sb 3.00
Sb  0.0000  0.0000  0.5000 x1  2 In 3.00
I  0.0000  0.5000  0.0000 x2  2 In 2.88
Cl  0.5000  0.5000  0.5000 x1  4 Sb 4.07, 8 I 4.16

=====

Record 1